Wednesday, October 14, 2009

Thoughts at "Week 7"

Week 7 Senryus

~What I did~

Paper two

Midterm blog

Eff my life

~What I learned~


Blogger site

Lots to do

~What I felt~

Busy bee

Pulling hair

Birthday soon


Language of "Week 6"

The "Week 6" Elegy

Week six's time has come to an end

and her busy soul lays to rest

Remember the joys of this dear friend

such as the dramatic poetry test

Think back on National Writing Day

with happiness, not blues

And smile at how paper one

was also, finally due

It is week six we will truly miss

along with Dream Boogie and We Real Cool

Please don't cry over To His Coy Mistress

but remember this week's jewel

Her stories held Ruined Maid and Useful Advice

as well as the precious group leaders

Her Anything Else Cafe replies

are open to the grievers

To a Suicide Bomber was her most memorable trait

as well as her dramatic and lyric poetry

Remember week six and how she was great

in giving our minds such clarity


Preaching on "Week 5"

The "Week 5" Ballad

I enjoyed week five in my lit class

although it kicked me in the ass

The second draft was such a feat

I had no time to sleep or eat

Our journal entry on poetry

confused the living hell outta me

The ballad we wrote on murder and love

turned out to be extremely tough

I forgot to watch the youtube clips

and when I remembered, exclaimed: "Oh... crap."

But thankfully my hard work payed off

and the journal entry, not so rough

The ballad turned out pretty good

and other people thought so, too

When Wednesday ended I wanted to die

but all in all I loved week five


What it Means to Say "Week 4"

Party Down at Reed Hall

- Here's what I did this week:

  • Failed paper one due to the lack of an important component

  • Read Shiloh and A Party Down at the Square

  • Learned about style and symbol through the medium of a powerpoint presentation

  • Watched multiple youtube videos from Smoke Signals

  • Spent some time at the Anything Else Cafe

- Here's what I learned this week:

  • Pay attention to detail when submitting assignments (especially papers)!

  • Don't think so hard about being creative - just let it flow out

  • Ask questions if confused

  • Read things more than once if confused (and if they are disliked - this is usually due to the confusion)

  • Knowing the setting of a story makes all the difference in understanding it

  • One does not always have to like the style of a work, but it helps to appreciate and understand it more when a background knowledge of the author is gained

  • Symbolism can be useful and enticing in stories

- Here's how I felt about it:

  • I gotta admit I wasn't too happy about my score but that's what I deserved for being a dumb dumb!

  • A Party Down at the Square was so fascinating and yet infuriating all at once. I didn't fully understand it until after reading it a couple times, also. I think the fact that I was so worked up over the story, the events unfolding within it, and the characters' reactions made me gain a sort of fascination about it

  • Being a Native American myself I thought I would enjoy the Smoke Signals videos and What it Means to Say Arizona but I did not. I found myself mainly just confused at them most of the time

  • I thought the information on style and symbol did not exactly prepare me enough for the Native American work and videos but it was beneficial, nonetheless. Now when looking at pieces of literature I marvel at how styles differ between authors and how obvious some authors are at their style.

  • The information on setting really helped make a difference in understanding the works and showed how very important even setting can be in a story

  • I thought having the discussion forum at the Anything Else Cafe helped make things a lot easier in having only one forum to concern myself with. It was also a nice change of scenery ; )


Thinking About "Week 3"

The Story of "Week 3"

1.) Thankfully the start of our third week began with a nice break, thanks to Labor Day. We got to another one of the professor's unique and insightful videos and "thought" about theme. We read The Red Convertible and The Story of an Hour, both of which I did not fully understand until I was able to view others' posts on the stories. We continued our Wednesday class with the addition of our third discussion forum and were also notified of our first paper assignment; I couldn't complain.

2.) I learned that Labor Day couldn't have come at a worse time - I could've really used that Monday off THIS week! I also learned a great deal about theme and how terribly bad I am at finding it. Listening to others' reactions and seeing others' replies to the stories was nice because it not only helped me figure out the themes of the stories but also gave me an idea of how to determine future themes. One key thing I learned during this week included the discovery that starting papers early and picking the assignment we like most (as opposed to the one we think is easiest) helps in creating a much more stress-free and quality paper.

3.) I feel that although I did not quite learn how to be a theme-finding expert I at least got more knowledge on the subject than I had to start with. I am definately going to be able (and need) to take the things I learned on theme from this class for my future courses and reading adventures. It was never something I really gave thought to in literature until I was more exposed to it in LIT 2000. I remember after learning the basic theme and idea around The Red Convertible feeling like I had lost my brain cells. The theme seemed so obvious once it had been pointed out to me! The Story of an Hour was not quite as elusive to me as the former, and as disturbing and depressing as it was I highly enjoyed it. As far as the paper went, I was excited to be able to write one (it had been my first one of the semester!), however, not as pleased with the choices I was given to write about. They all seemed to have needed much more effort and creativity then I had to extract. It would prove be an interesting and motivating assignment in the end.


How to Tell a True "Week Two" Story

Prologue and Tale of "Week Two"

- The activities I took part in and accomplished during week two were not only enjoyable but furthered my knowledge of the wide world of literature. We took part in our first journal entry (aka free-write) of the semester, "considered" characterization and "explored" points of view through a talking powerpoint, read the comical tale (and even longer prologue) of The Wife of Bath, Died and Gone to Vegas, and my personal favorite, How to Tell a True War Story. In addition to those things, we watched a touching youtube video relating to How to Tell a True War Story called The Things They Carried. Adding to the mix our discussion forum submissions, replies, and praises, it resulted in being quite a busy week but ended on a very positive note. I would be lying if I said I did not learn anything.

DFT (PBE) results for crystalline LiInC2N4 at its relaxed geometry.

Cell: 9.5688 6.9546 5.9851 Å, 90.00 90.00 90.00°
Space group Pbcn (No. 60)
Inequivalent atoms, fractional coordinates:
Li (0.0000, 0.1141, 0.2500) [4 per cell]
In (0.0000, 0.3708, 0.7500) [4 per cell]
C (0.2448, 0.1170, 0.5800) [8 per cell]
N (0.1176, 0.1295, 0.5896) [8 per cell]
N (0.1256, 0.3985, 0.0685) [8 per cell]

* magnetic moment: 0.00 μB/atom
* mass density: 3365 kg/m3
* DFT total energy: -7.23 eV/atom
* calculated formation energy: -0.353 eV/atom
* volume: 12.45 A^3/atom

----------

# 1
# LiMn2OF3 | the Materials Project | PBE with a Hubbard U | optimized geometry
# Distance to the lowest polymorph of the same formula, eV per atom: 0.028
# Electronic total energy, eV/atom: -6.305
# Formation enthalpy at 0 K, eV per atom: -2.660
# M_tot, μB/cell: 20.00
data_LiMn2OF3
_symmetry_space_group_name_H-M 'P 1'
_symmetry_Int_Tables_number 1
_symmetry_space_group_name_Hall 'P 1'
_cell_length_a 6.329
_cell_length_b 6.352
_cell_length_c 8.843
_cell_angle_alpha 90.00
_cell_angle_beta 90.00
_cell_angle_gamma 89.48
loop_
_atom_site_label
_atom_site_fract_x
_atom_site_fract_y
_atom_site_fract_z
Li1 0.000 0.000 0.000
Li2 0.000 0.499 0.026
Li3 0.499 0.477 0.527
Li4 0.500 0.975 0.500
Mn1 0.249 0.738 0.263
Mn2 0.250 0.238 0.764
Mn3 0.501 0.198 0.155
Mn4 0.501 0.698 0.872
Mn5 0.750 0.238 0.763
Mn6 0.750 0.737 0.263
Mn7 0.999 0.278 0.373
Mn8 0.999 0.778 0.654
O1 0.000 0.037 0.776
O2 0.000 0.536 0.250
O3 0.500 0.439 0.750
O4 0.500 0.938 0.276
F1 0.235 0.748 0.009
F2 0.236 0.247 0.018
F3 0.264 0.728 0.517
F4 0.265 0.228 0.509
F5 0.500 0.478 0.281
F6 0.501 0.978 0.746
F7 0.734 0.226 0.508
F8 0.735 0.726 0.518
F9 0.765 0.250 0.018
F10 0.765 0.749 0.008
F11 0.999 0.498 0.781
F12 0.999 0.998 0.246

# 2
# LiMnOF2 | the Materials Project | PBE with a Hubbard U | optimized geometry
# Distance to the lowest polymorph of the same formula, eV per atom: 0.074
# Electronic total energy, eV/atom: -5.914
# Formation enthalpy at 0 K, eV per atom: -2.601
# M_tot, μB/cell: 16.00
data_LiMnOF2
_symmetry_space_group_name_H-M 'P 1'
_symmetry_Int_Tables_number 1
_symmetry_space_group_name_Hall 'P 1'
_cell_length_a 5.390
_cell_length_b 7.093
_cell_length_c 5.551
_cell_angle_alpha 90.00
_cell_angle_beta 90.00
_cell_angle_gamma 90.00
loop_
_atom_site_label
_atom_site_fract_x
_atom_site_fract_y
_atom_site_fract_z
Li1 0.040 0.250 0.052
Li2 0.460 0.750 0.552
Li3 0.540 0.250 0.448
Li4 0.960 0.750 0.948
Mn1 0.000 0.000 0.500
Mn2 0.000 0.500 0.500
Mn3 0.500 0.000 0.000
Mn4 0.500 0.500 0.000
O1 0.068 0.750 0.601
O2 0.432 0.250 0.101
O3 0.568 0.750 0.899
O4 0.932 0.250 0.399
F1 0.174 0.562 0.146
F2 0.174 0.938 0.146
F3 0.326 0.062 0.646
F4 0.326 0.438 0.646
F5 0.674 0.562 0.354
F6 0.674 0.938 0.354
F7 0.826 0.062 0.854
F8 0.826 0.438 0.854

# 3
# Li2Mn4O5F3 | the Materials Project | PBE with a Hubbard U | optimized geometry
# Distance to the lowest polymorph of the same formula, eV per atom: 0.012

Considering "Week Two"

- The question being answered here is what I learned during this week. In two short words: a lot. I learned that free-writing is just what it sounds like: FREE WRITING! I can write about anything and turn it into anything, without any type of structure or any sense if I so wish. I also got a head-start on a project that I am doing for my British Literature course. Thanks to The Wife of Bath I got some early reading done for my project on... The Wife of Bath! I also learned a lot about literature by reading How to Tell a War Story. I had never read a text like that ever before, and as much as I thought I would get offended or become disinterested in the text I didn't in the least. I also discovered that I was not particularly interested in Died and Gone to Vegas and of Chaucer impersonators; he's too hot to touch.

Exploring "Week Two"

- Although the amount of learning was large, it was very beneficial and eye-opening. I found myself enjoying the readings and assignments more than I thought I would and even telling others about them. I feel that my initial joy for literature has increased, especially after reading the "true" war story; for some reason it struck quite a chord within me. I not only thoroughly enjoyed the free-write but even more so the response to it from the professor. I liked her interest and reactions to our inner, scattered, and personal thoughts. Not only was reading the Chaucer tale a nice warm-up to my other assignment, but it was something I can honestly say I really enjoyed. Even though Chaucer is an ancient guy he sure can write some good stuff!


A "Happy Ending" to Week One

My Week One "plot":


Who: Krista N. Hinton and LIT 2000

What: Week One of Introduction to Literature

When: August 24th and 26th, in the year 2009

Where: Reed Hall, room 144 ; Krista's dorm room desk

Rising Action

- Krista did not fully become aware that LIT 2000 was a hybrid course until the first day of class

- Krista's professor was outrageously outgoing and the class was small; there would definately be some intimacy and shell-breaking happening

- Krista had feelings of panic at the sight of discussion forum one and its assignment


- Krista spent almost her entire evening writing a plot for discussion forum one, but she hated it and did not even understand what she was writing

- Krista deleted the crummy plot and started over fresh - without pressing 'save!' She wanted to create a plot she was proud of and attempted to pull out the barely-existing creativity she harbored in her brain

Falling Action

- She completed a decent assignment

- She found the beauty in the discussion forum - a way to generate ideas and receive praise for her own

- She began thinking of the wordle, "Reuinion," "Happy Endings," and the fact that Cedric was in her class, and liked what she thought


- Krista learned how to do a wordle and about two very interesting and varying pieces of literature

- Krista learned a thing or two about plot that she was not aware of

- Krista began to feel much better about the course; she had a feeling her creativity was going to start blossoming and her panic of the class turned into optimism
